Extended Organ with Princess DragonMom at MOCAD (Detroit) on November 8th, 2013

These materials data were left in the piece by mistake.
[1]
Structure and computed PXRD pattern of Tl6HgTe2 (a crystal structure in Alexandria, relaxed with PBE; CuKα).
Peak positions follow from Bragg's law for the DFT cell and can differ from measured ones.

a = 4.8179 Å, b = 15.8325 Å, c = 8.0944 Å
α = 90.00°, β = 90.00°, γ = 90.00°
Space group Amm2 (No. 38)
Symmetry-distinct sites (fractional):
Tl (0.0000, 0.0000, 0.0000) (multiplicity 2)
Tl (0.0000, 0.1382, 0.6447) (multiplicity 4)
Tl (0.5000, 0.0000, 0.3220) (multiplicity 2)
Tl (0.5000, 0.2090, 0.9593) (multiplicity 4)
Hg (0.5000, 0.0000, 0.7226) (multiplicity 2)
Te (0.0000, 0.1595, 0.2565) (multiplicity 4)

Top 10 peaks for 10 to 90 degrees two-theta, in order of falling intensity:
2θ/deg	I/Imax
27.4	100
31.0	99
29.2	58
37.3	46
33.7	31
28.8	31
36.8	26
34.0	23
56.4	22
31.6	21


[2]
Structure and computed PXRD pattern of Tl6Hg2Te3 (a crystal structure in Alexandria, relaxed with PBE; CuKα).
Peak positions follow from Bragg's law for the DFT cell and can differ from measured ones.

a = 5.1539 Å, b = 5.5156 Å, c = 14.1836 Å
α = 79.11°, β = 80.45°, γ = 89.01°
Space group P-1 (No. 2)
Symmetry-distinct sites (fractional):
Tl (0.0848, 0.0885, 0.3253) (multiplicity 2)
Tl (0.2898, 0.7660, 0.9102) (multiplicity 2)
Tl (0.3859, 0.2950, 0.7300) (multiplicity 2)
Hg (0.4672, 0.7600, 0.5652) (multiplicity 2)
Te (0.0000, 0.5000, 0.5000) (multiplicity 1)
Te (0.1744, 0.5869, 0.1408) (multiplicity 2)

Top 10 peaks for 10 to 90 degrees two-theta, in order of falling intensity:
2θ/deg	I/Imax
27.1	100
27.8	89
34.8	87
30.8	57
30.9	57
59.8	32
44.5	26
46.9	26
36.8	25
37.4	23


[3]
Structure and computed PXRD pattern of Tl5Hg2Te3 (a crystal structure in Alexandria, relaxed with PBE; CuKα).
Peak positions follow from Bragg's law for the DFT cell and can differ from measured ones.

a = 16.2847 Å, b = 10.7449 Å, c = 9.2314 Å
α = 90.00°, β = 122.29°, γ = 90.00°
Space group C2/c (No. 15)
Symmetry-distinct sites (fractional):
Tl (0.0000, 0.0761, 0.2500) (multiplicity 4)
Tl (0.0788, 0.2935, 0.6464) (multiplicity 8)
Tl (0.2293, 0.4583, 0.0978) (multiplicity 8)
Hg (0.1831, 0.3072, 0.3376) (multiplicity 8)
Te (0.0000, 0.4569, 0.2500) (multiplicity 4)
Te (0.1275, 0.1412, 0.0280) (multiplicity 8)

Top 10 peaks for 10 to 90 degrees two-theta, in order of falling intensity:
2θ/deg	I/Imax
32.5	100
29.2	90
27.1	77
29.6	72
29.0	65
30.9	41
30.2	34
32.2	34
48.7	30
56.1	28


[4]
Structure and computed PXRD pattern of TlHgTe2 (a crystal structure in Alexandria, relaxed with PBE; CuKα).
Peak positions follow from Bragg's law for the DFT cell and can differ from measured ones.

a = 7.5261 Å, b = 4.3307 Å, c = 8.2048 Å
α = 90.00°, β = 108.68°, γ = 90.00°
Space group Cm (No. 8)
Symmetry-distinct sites (fractional):
Tl (0.0000, 0.0000, 0.0000) (multiplicity 2)
Hg (0.3326, 0.5000, 0.4955) (multiplicity 2)
Te (0.2434, 0.0000, 0.7243) (multiplicity 2)
Te (0.4256, 0.0000, 0.2777) (multiplicity 2)

Top 10 peaks for 10 to 90 degrees two-theta, in order of falling intensity:
2θ/deg	I/Imax
30.5	100


Extended Organ is Tom Recchion, Joe Potts, Fredrik Nilsen and Paul McCarthy with Alex Stevens. Mike Kelley was a longtime member of the group and continues to be a contributing member by virtue of the sound recordings he provided to the group before his death: “in case I can’t make a gig, I can still play.” Tom, Joe and Fredrik are founding members of the seminal West Coast experimental noise cult collective, the Los Angeles Free Music Society (LAFMS).

The roots of the LAFMS trace back to 1972 when disparate groups of improvising sound experimenters in eastern Los Angeles discovered their mutual interest and banded together to design modes of self production and distribution of recordings and publications, helping to develop and propel the DIY movement. Paul McCarthy began collaborating with the LAFMS in the late 70’s and has been an integral participating supporter since the mid 90’s.


Formed in 1994, Extended Organ produce a dynamic otherworldly ambience that can be simultaneously hilarious and ominously frightening. Overlaying the carpet of sound produced by Joe Potts and his self-engineered drone instrument the “Chopped Optigan” is Paul McCarthy’s vocal and guitar improvisations channeled and processed by Alex Stevens. Tom Recchion, simultaneously renowned as an inventor of crude homemade instruments and as an innovative composer of electronic and tape music, performs an array of sounds blending lush beauty and horror sensibility into the matrix. An antique Rheem Mark 7 organ is layered in by Fredrik Nilsen along with electronic sound and the aforementioned recordings provided by Mike Kelley. Mike Kelley’s varied array of sounds are unprocessed mouth generated tugs, gurgles and bubbling masterfully recorded in 2010 by Scott Benzel.


Opening is the Detroit collective Princess Dragonmom (Davin Brainard, Warren Defever, Dion Fischer, Claire D’Aoust and Ronald Cornelissen), celebrating their 20th year of noise-making and performance-staging.

Photo’s performance: Gregory Hallock. Video: MOCAD.
Many thanks: Greg Baise and The Netherlands Consulate General in New York.

The Hyperborean Garden


The Hyperborean Garden at de Korenbeurs in Schiedam, The Netherlands – variable dimensions – 2013

Black Hole
Plastic chair, plaster and shoes – 100 x 70 x 70 cm – 2013
Plastic chair, Formica, textile, curtain rod, wallets and wood – 174 x 70 x 89 cm – 2013
The Bride of Henkenstein
Plastic chair, plaster, textile, curtain rod, toiletseats and cardboard – 121 x 50 x 58 cm – 2013
White Hole
Plastic chair, plaster and wood – 143 x 60,5 x 70 cm – 2013
The Rest is history
Partytent, cardboard, confetti and textile – 270 x 270 x 220 cm – 2013

Many thanks: Arjen van Krieken and Arnold Mosselman.

I Rip You, You Rip Me

I Rip You, You Rip Me (honey, we’re going down in history) was a project that Ben Schot and I organised for the Centre of The Arts (CBK) Rotterdam in June 1998. The project zoomed in on the radical and psychedelic underground of Detroit in the late sixties, early seventies with bands and collectives like Iggy & The Stooges, The MC5, Destroy All Monsters and the White Panther Party under the leadership of The MC5’s manager John Sinclair. I Rip You, You Rip Me consisted of exhibitions, a workshop, film screenings, a symposium and performances at local institutes and venues with special guests Destroy All Monsters (Mike Kelley, Jim Shaw, Cary Loren, Dave Muller, Art Byington), Charlemagne Palestine, Scanner, John Sinclair, Leni Sinclair, Princess DragonMom (Warren Defever, Davin Brainard, Ronald Cornelissen), in collaboration with artists and musicians from Rotterdam.


Boys R Us at walgenbach art & books


On Saturday the 16th of March a new art bookstore and gallery opened in the Gouwstraat 15 in Rotterdam: Walgenbach art & books. Concurrently with the opening of the store and gallery this webshop became operational: www.walgenbach.nl.

Between March 16 and May 19 Walgenbach art & books presents the book Boys R Us and in the Gouwstraat 22 drawings will be exhibited. Boys R Us comes in an edition of 30 numbered copies. Each box contains a small boy, an original drawing relating to one of the Boys R US drawings.

Walgenbach art & books, Gouwstraat 15, 3082 BA Rotterdam. Open: Thursday until Saturday from 12 to 18 hours and by appointment.